
## The article is interrupted by records of crystals
********
[1]
First-principles (PBE-GGA) data for a relaxed TlGeAsPt crystal, as listed in Alexandria via LeMat-Bulk.

Calculated values
* magnetic moment: 0.00 Bohr magnetons per cell
* raw total energy: -4.437 eV per atom
* formation energy: -0.1 eV per formula unit

Cell lengths 3.2185, 4.5854, 7.0982 Å; angles 94.37, 102.44, 108.87 degrees
Space group P1 (No. 1)
One atom of each set of equivalent atoms:
Tl  0.0000  0.0000  0.0000 [1 per cell]
Ge  0.4438  0.3499  0.5741 [1 per cell]
As  0.4283  0.6116  0.2471 [1 per cell]
Pt  0.7604  0.9291  0.5902 [1 per cell]


[2]
First-principles (PBE-GGA) data for a relaxed TlGeAsPt crystal, as listed in Alexandria via LeMat-Bulk.

Calculated values
* magnetic moment: 0.00 Bohr magnetons per cell
* raw total energy: -4.322 eV per atom
* formation energy: 0.4 eV per formula unit

Cell lengths 3.4800, 3.4800, 8.1756 Å; angles 90.00, 90.00, 120.00 degrees
Space group P3m1 (No. 156)
One atom of each set of equivalent atoms:
Tl  0.0000  0.0000  0.0000 [1 per cell]
Ge  0.6667  0.3333  0.2934 [1 per cell]
As  0.0000  0.0000  0.5477 [1 per cell]
Pt  0.3333  0.6667  0.7269 [1 per cell]


[3]
First-principles (PBE-GGA) data for a relaxed TlGeAsPt crystal, as listed in Alexandria via LeMat-Bulk.

Calculated values
* magnetic moment: 0.00 Bohr magnetons per cell
* raw total energy: -4.574 eV per atom
* formation energy: -0.6 eV per formula unit

Cell lengths 4.6922, 4.2099, 4.9215 Å; angles 90.00, 111.79, 90.00 degrees
Space group Pm (No. 6)
One atom of each set of equivalent atoms:
Tl  0.0000  0.0000  0.0000 [1 per cell]
Ge  0.3058  0.5000  0.6655 [1 per cell]
As  0.6881  0.5000  0.3268 [1 per cell]
Pt  0.4971  0.0000  0.5033 [1 per cell]


1.
Here is a geometry-optimized Hg5Cl4O4 structure from Alexandria. Energies are from PBE-GGA.

Structure (POSCAR):
```
Hg5Cl4O4
1.0
5.585 0.000 0.000
0.693 7.034 0.000
0.639 1.308 7.693
Hg Cl O
5 4 4
direct
0.000 0.000 0.000
0.219 0.640 0.340
0.253 0.146 0.333
0.747 0.854 0.667
0.781 0.360 0.660
0.191 0.384 0.967
0.259 0.860 0.663
0.741 0.140 0.337
0.809 0.616 0.033
0.219 0.368 0.480
0.257 0.911 0.190
0.743 0.089 0.810
0.781 0.632 0.520
```

2.
Here is a geometry-optimized Hg3Cl5O structure from Alexandria. Energies are from PBE-GGA.

Structure (POSCAR):
```
Hg3Cl5O
1.0
6.547 -5.115 0.000
6.547 5.115 0.000
-5.577 0.000 8.609
Hg Cl O
6 10 2
direct
0.000 0.000 0.000
0.000 0.000 0.500
0.241 0.241 0.392
0.346 0.346 0.809
0.654 0.654 0.191
0.759 0.759 0.608
0.002 0.345 0.639
0.201 0.201 0.064
0.327 0.673 0.000
0.345 0.002 0.639
0.437 0.437 0.613
0.563 0.563 0.387
0.655 0.998 0.361
0.673 0.327 0.000
0.799 0.799 0.936
0.998 0.655 0.361
0.059 0.059 0.230
0.941 0.941 0.770
```

3.
Here is a geometry-optimized Hg2ClO structure from Alexandria. Energies are from PBE-GGA.

Structure (POSCAR):
```
Hg2ClO
1.0
6.156 -3.055 0.000
6.156 3.055 0.000
-2.627 0.000 9.392
Hg Cl O
8 4 4
direct
0.000 0.500 0.500
0.095 0.905 0.750
0.257 0.644 0.104
0.356 0.743 0.396
0.500 0.000 0.000
0.644 0.257 0.604
********
## The records of crystals stop here
Is Biggest BEE Deal the Biggest Sham?

Home Archived Is Biggest BEE Deal the Biggest Sham?

It was with great amusement that I read the response of Old Mutual’s Managing Director for African Operations (what ever that means) with regard to the recent hullabaloo about what was passed off as the biggest BEE deal in Namibia and which now turns out to be the biggest sham. Those of us who have always maintained that BEE, as it is applied within the Namibian context, is a farce, are not surprised at the rather arrogant and patronizing response by Old Mutual. Old Mutual seems to suffer from a serious case of delusion and double-speech. The MD is quoted as saying that Old Mutual did not choose these partners because they were either affluent or poor. The main criteria, according to Old Mutual, was ‘people who could help them grow business.’ What a joke! Mr !Gawaxab, it seems, has no clue about the meaning of BEE and what it is supposed to achieve. If Old Mutual wanted black professionals who can “grow Old Mutual business,” why not appoint these people within the ranks of the organization? After all, your objective is to use them to bring business to you. Broad-based BEE is not about growing white business. Otherwise we would have been talking about White Economic Empowerment. Bee is not about entrenching the economic dominance of white business. BEE is about economic transformation of Namibia and bringing about increases in the numbers of black people that manage, own and control the country’s economy, as well as significant decreases in income disparities. What Old Mutual has done is to simply focus on selected groups of individuals who are perceived to have influence, sway and skills in ‘growing Old Mutual’s business’. Are we to assume that those professionals, who are part of the dead and who happen to be public servants, are meant to use their influence in bringing business to Old Mutual? Is the Rector of the Polytechnic, Dr Tjivukua meant to bring the Polytechnic’s business to the table? How will that empower Namibians? Once Dr Tjivikua is no longer part of the Polytechnic, would Old Mutual still be interested in him? Exactly how are these individuals meant to grow the business? There are several other questions which I would like to put to Old Mutual and its patronizing MD: We need to know what commitments follow from the roles of these ‘honest business people.’ Incidentally, none of those selected have any previous experience of business. Now that it is clear that Old Mutual has no interest in economic transformation, one would assume that the chief reason for selecting the partners in question is to gain political influence and access to government ministries. Perhaps the MD can give us answers on the actual economic muscle that this broad-based group has; the extent to which BEE actually will empower these people; the prospects that they will use their wealth/power to transform the economy; the extent to which the deal has opened the way for sharing/redistribution of the country’s wealth? And the possible conflicts of interest this ‘massive BEE deal’ has created and at what cost? What is required is a thorough understanding of the mechanism of share transfer to BEE beneficiaries, what the actual benefits amount to, and the consequent obligations of the potential beneficiary. Old Mutual ought to have learned from their South African experience that BEE in the form of a transfer of shares is a mechanism for delayed transfer of wealth linked purely to expedient company performance, with no downside or cost to the company. Finally, Old Mutual should realize that their bottom-line is ultimately determined by the uneducated, blue-collar guy in the street. Old Mutual should also realize that Namibia has emerged from a recent history of conflict. The moment Old Mutual enters the political arena, as they have done with this ‘Grow the Old Mutual Business’ deal, those of us who are currently Old Mutual clients will take our business elsewhere. We will take our business to those companies who are first and foremost interested in the broader transformation of our economy. We will take our business to those companies interested in promoting the interest and well-being of the Namibian people. Mr !Gawaxab must remember that Namibians are not in the business of ‘holding on to the tail of the devil to cross the river’. On 21 March 1990, Namibians said no to the ‘business of growing white business. Disgusted Former Old Mutual Policy-Holder Hardap Region Windhoek